Brief:
Reproduce every line underneath that contains the word "C4H6O3Pd".
Given:
'''
# 1
# C22H39N3O2PS6Sn

A structure of composition C22H39N3O2PS6Sn (wB97M-V/def2-TZVPD, the Open Molecules 2025 dataset).

XYZ file:
```
74
Properties=species:S:1:pos:R:3:mulliken_charge:R:1
Sn -0.4525 0.6153 -0.2112 0.2361
C -0.5548 -2.9710 2.9913 0.2240
C 0.3159 -3.5534 1.8807 -0.9868
S 1.4772 -2.4154 1.0939 0.3605
C 2.9056 -2.5381 2.1949 -1.1592
C 2.7930 -1.9277 3.5934 -0.6295
S 2.3818 -0.1645 3.5304 -0.0769
C 1.2790 -0.0074 4.9576 -0.3880
C 0.3878 1.2327 4.8326 -1.1644
S -0.5683 1.3908 3.3050 0.2086
C -2.1458 0.6176 3.7119 -0.7945
C -2.1680 -0.8991 3.8802 -0.9285
S -1.7514 -1.7753 2.3446 0.2649
H 0.0689 -2.4543 3.7177 -0.6247
H -1.0675 -3.7897 3.5049 0.4387
H -0.3192 -3.9271 1.0750 0.2862
H 0.8709 -4.4121 2.2718 0.5158
H 3.7069 -2.0365 1.6474 0.3814
H 3.2065 -3.5854 2.2988 0.3994
H 3.7419 -2.0865 4.1123 0.4696
H 2.0279 -2.4447 4.1728 0.3471
H 1.8581 0.0720 5.8814 0.4128
H 0.6606 -0.9028 5.0318 0.0684
H 1.0016 2.1317 4.9090 0.4611
H -0.3017 1.2539 5.6816 0.4359
H -2.7839 0.9023 2.8702 0.2527
H -2.5684 1.0934 4.6018 0.5087
H -3.1648 -1.1934 4.2174 0.4525
H -1.4678 -1.2104 4.6567 0.3669
C -6.0310 1.7567 -1.1256 -0.7982
S -4.9156 1.3355 -2.4740 -0.1196
C -3.3457 1.3377 -1.6241 0.2818
S -3.1818 0.5019 -0.0959 -0.5534
N -2.4052 1.9308 -2.2717 -1.0633
N -1.1527 1.8795 -1.7321 1.0754
C -0.3150 2.9235 -2.1462 -0.9420
C 0.7320 3.2309 -1.3340 0.4489
C 1.6359 4.3449 -1.5206 -1.0572
C 2.6150 4.5935 -0.6209 -0.2039
C 2.7732 3.7535 0.5277 -0.9931
C 1.9053 2.7027 0.6507 0.0299
N 0.9347 2.4032 -0.2214 0.1304
H -7.0482 1.6244 -1.4959 0.3201
H -5.8708 1.0914 -0.2785 0.2095
H -5.8992 2.7894 -0.8039 0.2576
H -0.6333 3.5293 -2.9852 0.3085
H 1.4874 4.9917 -2.3791 0.4067
H 3.2732 5.4436 -0.7690 0.3805
H 3.5505 3.9148 1.2604 0.3991
H 1.9935 2.0138 1.4891 0.1002
C 2.6856 -0.9183 -4.6122 -1.2227
P 1.8033 0.3721 -3.6868 1.1623
C 0.1332 0.3340 -4.3676 -0.8772
C 2.5314 1.9174 -4.2662 -1.0470
O 1.9047 0.1836 -2.2174 -0.7618
H 2.6596 -0.7288 -5.6866 0.3729
H 2.2267 -1.8862 -4.4092 0.3159
H 3.7229 -0.9477 -4.2772 0.3388
H 0.1708 0.2581 -5.4566 0.4430
H -0.4026 1.2331 -4.0683 0.2442
H -0.4062 -0.5263 -3.9684 0.0889
H 2.4244 2.0273 -5.3470 0.3682
H 3.5887 1.9376 -3.9997 0.3413
H 2.0265 2.7355 -3.7532 0.1345
C -3.2225 -2.9034 -1.4022 -0.3177
O -1.9718 -3.0679 -2.1160 -0.3254
C -0.9044 -2.6565 -1.4946 0.2771
C 0.2862 -2.9015 -2.3612 -0.7640
H -3.8281 -2.1987 -1.9680 0.2136
H -3.0106 -2.5002 -0.4158 0.0276
H -3.7000 -3.8816 -1.3631 0.2813
H 0.0638 -3.0282 -3.4269 0.4122
H 0.7152 -3.8343 -1.9695 0.4029
H 1.0318 -2.1265 -2.1720 -0.0655
```

Its total energy is -112143.492 eV. The calculation puts the gap between HOMO and LUMO at 0.1549 hartree. The multiplicity is 1. The HOMO energy is -2.03 eV. The calculation puts the LUMO energy at 2.18 eV. The net charge is -1. The relative energy (zero: lowest compared OMol25 entry of this formula, charge and spin) is 8.07 kcal per mole.


# 2
# C4H6O3Pd

A structure of composition C4H6O3Pd in a non-equilibrium geometry (wB97M-V/def2-TZVPD, the Open Molecules 2025 dataset).

XYZ file:
```
14
Properties=species:S:1:pos:R:3:nbo_charge:R:1
C -3.0709 -0.3586 -0.3306 0.8171
C -1.7851 -0.2261 -0.4813 -0.4104
O -4.2203 -0.0229 -0.6057 -0.4248
H -1.3099 0.7391 -0.2843 0.3391
H -1.7983 -1.3675 -0.8785 0.4019
H -4.7847 0.2454 0.1526 0.6132
O 0.0744 -0.5443 0.5336 -0.3123
C 0.6769 0.4644 0.7879 0.6524
O 1.9833 0.6479 0.7646 -0.4858
Pd 2.0722 2.3491 0.3146 1.3036
C 2.8855 -0.3273 0.1067 -0.2986
H 3.1556 -1.0256 0.9030 0.2922
H 2.4077 -0.8556 -0.7217 0.2601
H 3.7136 0.2819 -0.2610 0.2522
```
'''
Here it is:
# C4H6O3Pd
A structure of composition C4H6O3Pd in a non-equilibrium geometry (wB97M-V/def2-TZVPD, the Open Molecules 2025 dataset).